Input:
'''
Entry 1:
For MgTl4Ni4O12, a GGA+U-relaxed structure gives the theoretical XRD peak list in this record (λ = 1.5418 Å (Cu Kα)).

The 10 most intense peaks (5 to 70 degrees two-theta), by intensity:
- 32.9°, d = 2.722 Å, I 100
- 32.4°, d = 2.760 Å, I 91
- 32.2°, d = 2.782 Å, I 80
- 20.7°, d = 4.297 Å, I 76
- 33.1°, d = 2.708 Å, I 75
- 30.6°, d = 2.920 Å, I 71
- 26.5°, d = 3.362 Å, I 66
- 21.3°, d = 4.169 Å, I 66
- 34.1°, d = 2.630 Å, I 60
- 24.0°, d = 3.710 Å, I 57

Structural model:
Lattice parameters (Å, degrees): 5.590 5.728 8.814 78.04 83.87 82.24
Positions (direct):
Mg: 0.000 0.000 0.000
Tl: 0.061 0.777 0.369
Tl: 0.531 0.246 0.839
Tl: 0.594 0.244 0.359
Tl: 0.975 0.653 0.786
Ni: 0.088 0.198 0.586
Ni: 0.112 0.359 0.156
Ni: 0.550 0.678 0.578
Ni: 0.556 0.811 0.156
O: 0.143 0.332 0.930
O: 0.238 0.849 0.585
O: 0.240 0.987 0.158
O: 0.369 0.531 0.230
O: 0.412 0.343 0.587
O: 0.562 0.636 0.797
O: 0.625 0.846 0.371
O: 0.669 0.115 0.078
O: 0.883 0.532 0.569
O: 0.883 0.669 0.105
O: 0.896 0.045 0.778
O: 0.982 0.207 0.373



Entry 2:
For Na3VH6O7, a GGA+U-relaxed structure gives the theoretical XRD peak list in this record (λ = 1.5418 Å (Cu Kα)).

The 10 most intense peaks (5 to 70 degrees two-theta), by intensity:
- 34.0°, d = 2.638 Å, I 100
- 39.6°, d = 2.278 Å, I 62
- 26.6°, d = 3.350 Å, I 50
- 25.8°, d = 3.458 Å, I 41
- 57.5°, d = 1.603 Å, I 38
- 16.5°, d = 5.381 Å, I 36
- 56.9°, d = 1.618 Å, I 36
- 20.7°, d = 4.281 Å, I 31
- 40.5°, d = 2.226 Å, I 29
- 33.3°, d = 2.690 Å, I 23

Structural model:
Lattice parameters (Å, degrees): 5.589 5.589 5.589 100.00 100.00 100.00
Positions (direct):
Na: 0.018 0.214 0.767
Na: 0.214 0.767 0.018
Na: 0.767 0.018 0.214
V: 0.587 0.587 0.587
H: 0.101 0.474 0.341
H: 0.198 0.846 0.513
H: 0.341 0.101 0.474
H: 0.474 0.341 0.101
H: 0.513 0.198 0.846
H: 0.846 0.513 0.198
O: 0.172 0.987 0.429
O: 0.284 0.590 0.634
O: 0.429 0.172 0.987
O: 0.590 0.634 0.284
O: 0.634 0.284 0.590
O: 0.808 0.808 0.808
O: 0.987 0.429 0.172



Entry 3:
For Li2Mn2Si2O9, a GGA+U-relaxed structure gives the theoretical XRD peak list in this record (λ = 1.5418 Å (Cu Kα)).

The 10 most intense peaks (5 to 70 degrees two-theta), by intensity:
- 27.7°, d = 3.219 Å, I 100
- 16.5°, d = 5.369 Å, I 94
- 33.6°, d = 2.666 Å, I 91
- 21.3°, d = 4.180 Å, I 43
- 20.3°, d = 4.381 Å, I 33
- 41.6°, d = 2.169 Å, I 32
- 21.1°, d = 4.213 Å, I 32
- 30.3°, d = 2.950 Å, I 28
- 37.4°, d = 2.407 Å, I 26
- 37.8°, d = 2.378 Å, I 25

Structural model:
Lattice parameters (Å, degrees): 8.427 5.129 13.931 90.00 90.00 90.00
Positions (direct):
Li: 0.054 0.135 0.161
Li: 0.054 0.865 0.661
Li: 0.446 0.365 0.661
Li: 0.446 0.635 0.161
Li: 0.554 0.365 0.839
Li: 0.554 0.635 0.339
Li: 0.946 0.135 0.339
Li: 0.946 0.865 0.839
Mn: 0.159 0.378 0.830
Mn: 0.159 0.622 0.330
Mn: 0.341 0.122 0.330
Mn: 0.341 0.878 0.830
Mn: 0.659 0.122 0.170
Mn: 0.659 0.878 0.670
Mn: 0.841 0.378 0.670
Mn: 0.841 0.622 0.170
Si: 0.153 0.284 0.528
Si: 0.153 0.716 0.028
Si: 0.347 0.216 0.028
Si: 0.347 0.784 0.528
Si: 0.653 0.216 0.472
Si: 0.653 0.784 0.972
Si: 0.847 0.284 0.972
Si: 0.847 0.716 0.472
O: 0.000 0.472 0.250
O: 0.000 0.528 0.750
O: 0.018 0.226 0.925
O: 0.018 0.774 0.425
O: 0.156 0.287 0.409
O: 0.156 0.713 0.909
O: 0.177 0.061 0.765
O: 0.177 0.939 0.265
O: 0.227 0.443 0.069
O: 0.227 0.557 0.569
O: 0.273 0.057 0.569
O: 0.273 0.943 0.069
O: 0.323 0.439 0.265
O: 0.323 0.561 0.765
O: 0.344 0.213 0.909
O: 0.344 0.787 0.409
O: 0.482 0.274 0.425
O: 0.482 0.726 0.925
O: 0.500 0.028 0.750
O: 0.500 0.972 0.250
O: 0.518 0.274 0.075
O: 0.518 0.726 0.575
O: 0.656 0.213 0.591
O: 0.656 0.787 0.091
O: 0.677 0.439 0.235
O: 0.677 0.561 0.735
O: 0.727 0.057 0.931
O: 0.727 0.943 0.431
O: 0.773 0.443 0.431
O: 0.773 0.557 0.931
O: 0.823 0.061 0.735
O: 0.823 0.939 0.235
O: 0.844 0.287 0.091
O: 0.844 0.713 0.591
O: 0.982 0.226 0.575
O: 0.982 0.774 0.075



Entry 4:
For CsDyW2O8, a GGA+U-relaxed structure gives the theoretical XRD peak list in this record (λ = 1.5418 Å (Cu Kα)).
'''

What to do:
What is needed: duplicate the data earlier on without additions.

Written answer:
Entry 1:
For MgTl4Ni4O12, a GGA+U-relaxed structure gives the theoretical XRD peak list in this record (λ = 1.5418 Å (Cu Kα)).

The 10 most intense peaks (5 to 70 degrees two-theta), by intensity:
- 32.9°, d = 2.722 Å, I 100
- 32.4°, d = 2.760 Å, I 91
- 32.2°, d = 2.782 Å, I 80
- 20.7°, d = 4.297 Å, I 76
- 33.1°, d = 2.708 Å, I 75
- 30.6°, d = 2.920 Å, I 71
- 26.5°, d = 3.362 Å, I 66
- 21.3°, d = 4.169 Å, I 66
- 34.1°, d = 2.630 Å, I 60
- 24.0°, d = 3.710 Å, I 57

Structural model:
Lattice parameters (Å, degrees): 5.590 5.728 8.814 78.04 83.87 82.24
Positions (direct):
Mg: 0.000 0.000 0.000
Tl: 0.061 0.777 0.369
Tl: 0.531 0.246 0.839
Tl: 0.594 0.244 0.359
Tl: 0.975 0.653 0.786
Ni: 0.088 0.198 0.586
Ni: 0.112 0.359 0.156
Ni: 0.550 0.678 0.578
Ni: 0.556 0.811 0.156
O: 0.143 0.332 0.930
O: 0.238 0.849 0.585
O: 0.240 0.987 0.158
O: 0.369 0.531 0.230
O: 0.412 0.343 0.587
O: 0.562 0.636 0.797
O: 0.625 0.846 0.371
O: 0.669 0.115 0.078
O: 0.883 0.532 0.569
O: 0.883 0.669 0.105
O: 0.896 0.045 0.778
O: 0.982 0.207 0.373



Entry 2:
For Na3VH6O7, a GGA+U-relaxed structure gives the theoretical XRD peak list in this record (λ = 1.5418 Å (Cu Kα)).

The 10 most intense peaks (5 to 70 degrees two-theta), by intensity:
- 34.0°, d = 2.638 Å, I 100
- 39.6°, d = 2.278 Å, I 62
- 26.6°, d = 3.350 Å, I 50
- 25.8°, d = 3.458 Å, I 41
- 57.5°, d = 1.603 Å, I 38
- 16.5°, d = 5.381 Å, I 36
- 56.9°, d = 1.618 Å, I 36
- 20.7°, d = 4.281 Å, I 31
- 40.5°, d = 2.226 Å, I 29
- 33.3°, d = 2.690 Å, I 23

Structural model:
Lattice parameters (Å, degrees): 5.589 5.589 5.589 100.00 100.00 100.00
Positions (direct):
Na: 0.018 0.214 0.767
Na: 0.214 0.767 0.018
Na: 0.767 0.018 0.214
V: 0.587 0.587 0.587
H: 0.101 0.474 0.341
H: 0.198 0.846 0.513
H: 0.341 0.101 0.474
H: 0.474 0.341 0.101
H: 0.513 0.198 0.846
H: 0.846 0.513 0.198
O: 0.172 0.987 0.429
O: 0.284 0.590 0.634
O: 0.429 0.172 0.987
O: 0.590 0.634 0.284
O: 0.634 0.284 0.590
O: 0.808 0.808 0.808
O: 0.987 0.429 0.172



Entry 3:
For Li2Mn2Si2O9, a GGA+U-relaxed structure gives the theoretical XRD peak list in this record (λ = 1.5418 Å (Cu Kα)).

The 10 most intense peaks (5 to 70 degrees two-theta), by intensity:
- 27.7°, d = 3.219 Å, I 100
- 16.5°, d = 5.369 Å, I 94
- 33.6°, d = 2.666 Å, I 91
- 21.3°, d = 4.180 Å, I 43
- 20.3°, d = 4.381 Å, I 33
- 41.6°, d = 2.169 Å, I 32
- 21.1°, d = 4.213 Å, I 32
- 30.3°, d = 2.950 Å, I 28
- 37.4°, d = 2.407 Å, I 26
- 37.8°, d = 2.378 Å, I 25

Structural model:
Lattice parameters (Å, degrees): 8.427 5.129 13.931 90.00 90.00 90.00
Positions (direct):
Li: 0.054 0.135 0.161
Li: 0.054 0.865 0.661
Li: 0.446 0.365 0.661
Li: 0.446 0.635 0.161
Li: 0.554 0.365 0.839
Li: 0.554 0.635 0.339
Li: 0.946 0.135 0.339
Li: 0.946 0.865 0.839
Mn: 0.159 0.378 0.830
Mn: 0.159 0.622 0.330
Mn: 0.341 0.122 0.330
Mn: 0.341 0.878 0.830
Mn: 0.659 0.122 0.170
Mn: 0.659 0.878 0.670
Mn: 0.841 0.378 0.670
Mn: 0.841 0.622 0.170
Si: 0.153 0.284 0.528
Si: 0.153 0.716 0.028
Si: 0.347 0.216 0.028
Si: 0.347 0.784 0.528
Si: 0.653 0.216 0.472
Si: 0.653 0.784 0.972
Si: 0.847 0.284 0.972
Si: 0.847 0.716 0.472
O: 0.000 0.472 0.250
O: 0.000 0.528 0.750
O: 0.018 0.226 0.925
O: 0.018 0.774 0.425
O: 0.156 0.287 0.409
O: 0.156 0.713 0.909
O: 0.177 0.061 0.765
O: 0.177 0.939 0.265
O: 0.227 0.443 0.069
O: 0.227 0.557 0.569
O: 0.273 0.057 0.569
O: 0.273 0.943 0.069
O: 0.323 0.439 0.265
O: 0.323 0.561 0.765
O: 0.344 0.213 0.909
O: 0.344 0.787 0.409
O: 0.482 0.274 0.425
O: 0.482 0.726 0.925
O: 0.500 0.028 0.750
O: 0.500 0.972 0.250
O: 0.518 0.274 0.075
O: 0.518 0.726 0.575
O: 0.656 0.213 0.591
O: 0.656 0.787 0.091
O: 0.677 0.439 0.235
O: 0.677 0.561 0.735
O: 0.727 0.057 0.931
O: 0.727 0.943 0.431
O: 0.773 0.443 0.431
O: 0.773 0.557 0.931
O: 0.823 0.061 0.735
O: 0.823 0.939 0.235
O: 0.844 0.287 0.091
O: 0.844 0.713 0.591
O: 0.982 0.226 0.575
O: 0.982 0.774 0.075



Entry 4:
For CsDyW2O8, a GGA+U-relaxed structure gives the theoretical XRD peak list in this record (λ = 1.5418 Å (Cu Kα)).